-- Listing --
........
Entry from Materials Project: crystalline MgAl2SiO5 at its relaxed geometry (PBE).

Cell lengths 5.448, 14.662, 14.662 Å; angles 113.91, 90.00, 90.00 degrees
Atoms (fractional coordinates):
Si1 0.880 0.583 0.800
Si2 0.120 0.200 0.417
Si3 0.380 0.300 0.083
Si4 0.380 0.700 0.917
Si5 0.880 0.417 0.200
Si6 0.120 0.800 0.583
Si7 0.620 0.083 0.300
Si8 0.620 0.917 0.700
O1 0.609 0.649 0.483
O2 0.391 0.517 0.351
O3 0.391 0.483 0.649
O4 0.409 0.311 0.976
O5 0.648 0.351 0.134
O6 0.623 0.940 0.816
O7 0.109 0.017 0.851
O8 0.352 0.134 0.351
O9 0.948 0.659 0.100
O10 0.352 0.866 0.649
O11 0.852 0.149 0.366
O12 0.448 0.600 0.159
O13 0.052 0.900 0.341
O14 0.123 0.316 0.440
O15 0.377 0.816 0.940
O16 0.091 0.189 0.524
O17 0.552 0.841 0.400
O18 0.852 0.851 0.634
O19 0.891 0.851 0.017
O20 0.877 0.440 0.316
O21 0.623 0.060 0.184
O22 0.909 0.524 0.189
O23 0.052 0.100 0.659
O24 0.148 0.634 0.851
O25 0.448 0.400 0.841
O26 0.909 0.476 0.811
O27 0.123 0.684 0.560
O28 0.609 0.351 0.517
O29 0.891 0.149 0.983
O30 0.377 0.184 0.060
O31 0.148 0.366 0.149
O32 0.552 0.159 0.600
O33 0.591 0.976 0.311
O34 0.409 0.689 0.024
O35 0.648 0.649 0.866
O36 0.091 0.811 0.476
O37 0.591 0.024 0.689
O38 0.948 0.341 0.900
O39 0.877 0.560 0.684
O40 0.109 0.983 0.149
Mg1 0.281 0.541 0.239
Mg2 0.719 0.761 0.459
Mg3 0.781 0.739 0.041
Mg4 0.219 0.959 0.261
Mg5 0.281 0.459 0.761
Mg6 0.219 0.041 0.739
Mg7 0.719 0.239 0.541
Mg8 0.781 0.261 0.959
Al1 0.244 0.402 0.940
Al2 0.756 0.940 0.402
Al3 0.700 0.483 0.581
Al4 0.700 0.517 0.419
Al5 0.744 0.440 0.902
Al6 0.756 0.060 0.598
Al7 0.200 0.919 0.017
Al8 0.300 0.419 0.517
Al9 0.244 0.598 0.060
Al10 0.200 0.081 0.983
Al11 0.256 0.902 0.440
Al12 0.744 0.560 0.098
Al13 0.256 0.098 0.560
Al14 0.300 0.581 0.483
Al15 0.800 0.017 0.919
Al16 0.800 0.983 0.081

Values from the calculation:
- Total DFT energy (no corrections): -480.86 eV for the cell shown
- SG: Ccce, No. 68
- E_form: -2.698 eV per atom
- Calculated volume: 14.87 Å³/atom

=====

Entry from Materials Project: crystalline Mg6AlSiO8 at its relaxed geometry (PBE).

Cell lengths 8.652, 4.362, 4.362 Å; angles 90.00, 90.00, 90.00 degrees
Atoms (fractional coordinates):
O1 0.000 0.000 0.500
O2 0.761 0.000 0.000
O3 0.000 0.500 0.000
O4 0.500 0.500 0.000
O5 0.738 0.500 0.500
O6 0.262 0.500 0.500
O7 0.239 0.000 0.000
O8 0.500 0.000 0.500
Mg1 0.253 0.500 0.000
Mg2 0.500 0.500 0.500
Mg3 0.500 0.000 0.000
Mg4 0.747 0.000 0.500
Mg5 0.253 0.000 0.500
Mg6 0.747 0.500 0.000
Si1 0.000 0.500 0.500
Al1 0.000 0.000 0.000

Values from the calculation:
- Total DFT energy (no corrections): -93.39 eV for the cell shown
- SG: P4/mmm, No. 123
- E_form: -2.533 eV per atom
- Calculated volume: 10.29 Å³/atom
- Polymorph energy (0 for the lowest one): 109 meV per atom

=====

Entry from Materials Project: crystalline Mg6AlSiO8 at its relaxed geometry (PBE).

Cell lengths 9.399, 4.169, 4.169 Å; angles 90.00, 90.00, 90.00 degrees
Atoms (fractional coordinates):
O1 0.255 0.500 0.500
O2 0.000 0.500 0.000
O3 0.500 0.000 0.500
O4 0.191 0.000 0.000
O5 0.745 0.500 0.500
O6 0.809 0.000 0.000
O7 0.500 0.500 0.000
O8 0.000 0.000 0.500
Al1 0.000 0.000 0.000
Si1 0.500 0.000 0.000
Mg1 0.749 0.500 0.000
Mg2 0.251 0.000 0.500
Mg3 0.251 0.500 0.000
Mg4 0.000 0.500 0.500
Mg5 0.749 0.000 0.500
Mg6 0.500 0.500 0.500

Values from the calculation:
- Total DFT energy (no corrections): -95.13 eV for the cell shown
- SG: P4/mmm, No. 123
- E_form: -2.642 eV per atom
- Calculated volume: 10.21 Å³/atom
- Polymorph energy (0 for the lowest one): 0 meV per atom

=====

Entry from Materials Project: crystalline Mg2Al4Si5O18 at its relaxed geometry (PBE).

Cell lengths 9.450, 9.836, 9.903 Å; angles 119.50, 89.98, 90.06 degrees
Atoms (fractional coordinates):
Si1 0.000 0.103 0.729
Si2 0.500 0.627 0.730
Si3 0.750 0.502 0.002
Si4 0.999 0.732 0.624
Si5 0.501 0.898 0.633
Si6 0.000 0.625 0.891
Si7 0.501 0.114 0.378
Si8 0.500 0.268 0.899
Si9 0.500 0.375 0.267
Si10 0.999 0.266 0.379
O1 0.851 0.515 0.868
O2 0.993 0.313 0.246
O3 0.359 0.483 0.345
........

-- To do --
Please return only the last part of the notes earlier on, starting with the line that has "0.041 0.739".

-- Completed --
Mg6 0.219 0.041 0.739
Mg7 0.719 0.239 0.541
Mg8 0.781 0.261 0.959
Al1 0.244 0.402 0.940
Al2 0.756 0.940 0.402
Al3 0.700 0.483 0.581
Al4 0.700 0.517 0.419
Al5 0.744 0.440 0.902
Al6 0.756 0.060 0.598
Al7 0.200 0.919 0.017
Al8 0.300 0.419 0.517
Al9 0.244 0.598 0.060
Al10 0.200 0.081 0.983
Al11 0.256 0.902 0.440
Al12 0.744 0.560 0.098
Al13 0.256 0.098 0.560
Al14 0.300 0.581 0.483
Al15 0.800 0.017 0.919
Al16 0.800 0.983 0.081

Values from the calculation:
- Total DFT energy (no corrections): -480.86 eV for the cell shown
- SG: Ccce, No. 68
- E_form: -2.698 eV per atom
- Calculated volume: 14.87 Å³/atom

=====

Entry from Materials Project: crystalline Mg6AlSiO8 at its relaxed geometry (PBE).

Cell lengths 8.652, 4.362, 4.362 Å; angles 90.00, 90.00, 90.00 degrees
Atoms (fractional coordinates):
O1 0.000 0.000 0.500
O2 0.761 0.000 0.000
O3 0.000 0.500 0.000
O4 0.500 0.500 0.000
O5 0.738 0.500 0.500
O6 0.262 0.500 0.500
O7 0.239 0.000 0.000
O8 0.500 0.000 0.500
Mg1 0.253 0.500 0.000
Mg2 0.500 0.500 0.500
Mg3 0.500 0.000 0.000
Mg4 0.747 0.000 0.500
Mg5 0.253 0.000 0.500
Mg6 0.747 0.500 0.000
Si1 0.000 0.500 0.500
Al1 0.000 0.000 0.000

Values from the calculation:
- Total DFT energy (no corrections): -93.39 eV for the cell shown
- SG: P4/mmm, No. 123
- E_form: -2.533 eV per atom
- Calculated volume: 10.29 Å³/atom
- Polymorph energy (0 for the lowest one): 109 meV per atom

=====

Entry from Materials Project: crystalline Mg6AlSiO8 at its relaxed geometry (PBE).

Cell lengths 9.399, 4.169, 4.169 Å; angles 90.00, 90.00, 90.00 degrees
Atoms (fractional coordinates):
O1 0.255 0.500 0.500
O2 0.000 0.500 0.000
O3 0.500 0.000 0.500
O4 0.191 0.000 0.000
O5 0.745 0.500 0.500
O6 0.809 0.000 0.000
O7 0.500 0.500 0.000
O8 0.000 0.000 0.500
Al1 0.000 0.000 0.000
Si1 0.500 0.000 0.000
Mg1 0.749 0.500 0.000
Mg2 0.251 0.000 0.500
Mg3 0.251 0.500 0.000
Mg4 0.000 0.500 0.500
Mg5 0.749 0.000 0.500
Mg6 0.500 0.500 0.500

Values from the calculation:
- Total DFT energy (no corrections): -95.13 eV for the cell shown
- SG: P4/mmm, No. 123
- E_form: -2.642 eV per atom
- Calculated volume: 10.21 Å³/atom
- Polymorph energy (0 for the lowest one): 0 meV per atom

=====

Entry from Materials Project: crystalline Mg2Al4Si5O18 at its relaxed geometry (PBE).

Cell lengths 9.450, 9.836, 9.903 Å; angles 119.50, 89.98, 90.06 degrees
Atoms (fractional coordinates):
Si1 0.000 0.103 0.729
Si2 0.500 0.627 0.730
Si3 0.750 0.502 0.002
Si4 0.999 0.732 0.624
Si5 0.501 0.898 0.633
Si6 0.000 0.625 0.891
Si7 0.501 0.114 0.378
Si8 0.500 0.268 0.899
Si9 0.500 0.375 0.267
Si10 0.999 0.266 0.379
O1 0.851 0.515 0.868
O2 0.993 0.313 0.246
O3 0.359 0.483 0.345